Data:
# SrSe2, optimized geometry, DFT GGA-PBEsol
data_SrSe2
_cell_length_a 7.334
_cell_length_b 4.022
_cell_length_c 10.330
_cell_angle_alpha 90.00
_cell_angle_beta 90.00
_cell_angle_gamma 90.00
_symmetry_space_group_name_H-M 'P n m a'
_symmetry_Int_Tables_number 62
_symmetry_space_group_name_Hall '-P 2ac 2n'
loop_
_atom_site_label
_atom_site_fract_x
_atom_site_fract_y
_atom_site_fract_z
Sr1 0.182 0.250 0.149
Se1 0.099 0.250 0.457
Se2 0.139 0.250 0.843
# Energy relative to the elements, uncorrected = -1.343 eV per atom

----------

# PBE NaNiGe2Au, optimized geometry
data_NaNiGe2Au
_cell_length_a 4.970
_cell_length_b 4.970
_cell_length_c 4.965
_cell_angle_alpha 90.00
_cell_angle_beta 90.00
_cell_angle_gamma 90.00
_symmetry_space_group_name_H-M 'P 4/m m m'
_symmetry_Int_Tables_number 123
_symmetry_space_group_name_Hall '-P 4 2'
loop_
_atom_site_label
_atom_site_fract_x
_atom_site_fract_y
_atom_site_fract_z
Na1 0.000 0.000 0.000
Ni1 0.500 0.500 0.000
Ge1 0.000 0.500 0.500
Au1 0.500 0.500 0.500
# Final energy ... -16.7 eV per cell
# Fermi-level density of states ... 5.86 states/eV per cell
# Volume ... 24.53 Å³/atom

----------

Density functional theory data (PBE-GGA) for PbAuBr5 after structural relaxation.

Values from the calculation:
**Uncorrected formation energy**: -451 meV per atom
**Offset from the most stable computed form**: 0 meV per atom
**E**: -74.03 eV for the cell shown

Cell lengths 15.1215, 5.9359, 13.8341 Å; angles 90.00, 117.11, 90.00 degrees
Last column: nearest neighbours and their distance in Å.
Space group C2/c (No. 15)
Symmetry-distinct sites (fractional):
Pb 0.0000 0.0141 0.2500 (multiplicity 4)  6 Br 2.88-3.13
Au 0.2500 0.2500 0.5000 (multiplicity 4)  4 Br 2.48
Br 0.0000 0.4708 0.7500 (multiplicity 4)  2 Pb 2.88-3.06
Br 0.1138 0.0224 0.5036 (multiplicity 8)  1 Au 2.48
Br 0.2298 0.0524 0.3331 (multiplicity 8)  1 Au 2.48

Density functional theory data (PBE-GGA) for Pb2AuBr after structural relaxation.

Values from the calculation:
**Uncorrected formation energy**: -214 meV per atom
**Offset from the most stable computed form**: 84 meV per atom
**E**: -26.45 eV for the cell shown

Cell lengths 3.8155, 3.8398, 16.4708 Å; angles 90.00, 90.00, 90.00 degrees
Last column: nearest neighbours and their distance in Å.
Space group Imm2 (No. 44)
Symmetry-distinct sites (fractional):
Pb 0.0000 0.0000 0.0000 (multiplicity 2)  2 Au 2.93
Pb 0.0000 0.5000 0.2163 (multiplicity 2)  4 Au 3.02, 2 Br 3.33
Au 0.0000 0.5000 0.6348 (multiplicity 2)  6 Pb 2.93-3.02
Br 0.0000 0.0000 0.3817 (multiplicity 2)  6 Pb 3.33-3.34

Density functional theory data (PBE-GGA) for Pb2AuBr after structural relaxation.

Values from the calculation:
**Uncorrected formation energy**: -236 meV per atom
**Offset from the most stable computed form**: 62 meV per atom
**E**: -13.31 eV for the cell shown

Cell lengths 3.6226, 3.6226, 8.2784 Å; angles 90.00, 90.00, 90.00 degrees
Last column: nearest neighbours and their distance in Å.
Space group P4/mmm (No. 123)
Symmetry-distinct sites (fractional):
Pb 0.0000 0.0000 0.2198 (multiplicity 2)  4 Au 3.14, 4 Br 3.46
Au 0.5000 0.5000 0.0000 (multiplicity 1)  8 Pb 3.14
Br 0.5000 0.5000 0.5000 (multiplicity 1)  8 Pb 3.46, 4 Br 3.62

Density functional theory data (PBE-GGA) for Pb2AuBr after structural relaxation.

Values from the calculation:
**Uncorrected formation energy**: -81 meV per atom
**Offset from the most stable computed form**: 217 meV per atom
**E**: -38.07 eV for the cell shown

Cell lengths 3.9601, 3.9601, 25.9641 Å; angles 90.00, 90.00, 120.00 degrees
Last column: nearest neighbours and their distance in Å.
Space group R3m (No. 160, hexagonal axes)
Symmetry-distinct sites (fractional):
Pb 0.0000 0.0000 0.0000 (multiplicity 3)  3 Br 3.24, 3 Pb 3.51
Pb 0.0000 0.0000 0.2308 (multiplicity 3)  3 Au 2.87
Au 0.0000 0.0000 0.4975 (multiplicity 3)  3 Pb 2.87, 3 Br 3.02
Br 0.0000 0.0000 0.7549 (multiplicity 3)  3 Au 3.02, 3 Pb 3.24

Job:
What is needed: copy the lines earlier on up to the one that holds "0.5036 (multiplicity", that line included.

Reply:
# SrSe2, optimized geometry, DFT GGA-PBEsol
data_SrSe2
_cell_length_a 7.334
_cell_length_b 4.022
_cell_length_c 10.330
_cell_angle_alpha 90.00
_cell_angle_beta 90.00
_cell_angle_gamma 90.00
_symmetry_space_group_name_H-M 'P n m a'
_symmetry_Int_Tables_number 62
_symmetry_space_group_name_Hall '-P 2ac 2n'
loop_
_atom_site_label
_atom_site_fract_x
_atom_site_fract_y
_atom_site_fract_z
Sr1 0.182 0.250 0.149
Se1 0.099 0.250 0.457
Se2 0.139 0.250 0.843
# Energy relative to the elements, uncorrected = -1.343 eV per atom

----------

# PBE NaNiGe2Au, optimized geometry
data_NaNiGe2Au
_cell_length_a 4.970
_cell_length_b 4.970
_cell_length_c 4.965
_cell_angle_alpha 90.00
_cell_angle_beta 90.00
_cell_angle_gamma 90.00
_symmetry_space_group_name_H-M 'P 4/m m m'
_symmetry_Int_Tables_number 123
_symmetry_space_group_name_Hall '-P 4 2'
loop_
_atom_site_label
_atom_site_fract_x
_atom_site_fract_y
_atom_site_fract_z
Na1 0.000 0.000 0.000
Ni1 0.500 0.500 0.000
Ge1 0.000 0.500 0.500
Au1 0.500 0.500 0.500
# Final energy ... -16.7 eV per cell
# Fermi-level density of states ... 5.86 states/eV per cell
# Volume ... 24.53 Å³/atom

----------

Density functional theory data (PBE-GGA) for PbAuBr5 after structural relaxation.

Values from the calculation:
**Uncorrected formation energy**: -451 meV per atom
**Offset from the most stable computed form**: 0 meV per atom
**E**: -74.03 eV for the cell shown

Cell lengths 15.1215, 5.9359, 13.8341 Å; angles 90.00, 117.11, 90.00 degrees
Last column: nearest neighbours and their distance in Å.
Space group C2/c (No. 15)
Symmetry-distinct sites (fractional):
Pb 0.0000 0.0141 0.2500 (multiplicity 4)  6 Br 2.88-3.13
Au 0.2500 0.2500 0.5000 (multiplicity 4)  4 Br 2.48
Br 0.0000 0.4708 0.7500 (multiplicity 4)  2 Pb 2.88-3.06
Br 0.1138 0.0224 0.5036 (multiplicity 8)  1 Au 2.48